# To do
What is needed: write out every line further below that contains the word "elements".
# Data
- - -
(1)
{
  "formula": "C14H48BF4N2O9",
  "method": "the ωB97M-V functional and the def2-TZVPD basis",
  "elements": ["B", "F", "F", "F", "F", "C", "C", "O", "H", "H", "H", "H", "H", "H", "C", "C", "O", "H", "H", "H", "H", "H", "H", "C", "C", "O", "H", "H", "H", "H", "H", "H", "O", "H", "H", "O", "H", "H", "O", "H", "H", "O", "H", "H", "C", "C", "C", "O", "C", "N", "H", "H", "H", "H", "H", "H", "H", "H", "H", "H", "H", "C", "C", "C", "O", "C", "N", "H", "H", "H", "H", "H", "H", "H", "H", "H", "H", "H"],
  "coordinates": [[-0.9072, 0.3415, -1.1741], [-0.6169, -1.0298, -1.2216], [-0.6800, 0.7639, 0.1312], [-0.1652, 1.0042, -2.1199], [-2.2655, 0.4808, -1.4442], [-2.2526, -0.1521, 3.1618], [-3.0077, -0.7164, 1.9138], [-3.2983, 0.3849, 1.0707], [-2.0941, -0.9247, 3.9143], [-2.6488, 0.7154, 3.6896], [-1.2224, 0.1135, 2.9249], [-3.9149, -1.2441, 2.2078], [-2.3579, -1.4997, 1.5237], [-2.5557, 0.5119, 0.4757], [-3.0894, -4.0075, -2.1320], [-3.2427, -2.7482, -3.0937], [-3.7453, -1.6449, -2.3757], [-2.4787, -3.7332, -1.2718], [-2.5288, -4.8756, -2.4787], [-4.0605, -4.3906, -1.8183], [-4.0107, -3.0089, -3.8219], [-2.2908, -2.5337, -3.5795], [-3.0158, -1.2628, -1.8824], [2.0882, 0.4793, -4.6231], [3.0892, -0.4590, -3.8580], [4.3527, 0.1127, -3.8633], [1.1635, -0.0815, -4.7592], [2.3866, 0.6952, -5.6490], [1.8990, 1.4077, -4.0844], [3.0685, -1.4206, -4.3708], [2.7089, -0.5664, -2.8422], [4.7230, -0.1329, -4.7143], [2.3028, 1.4935, -0.2442], [1.6371, 1.9862, -0.7241], [1.9810, 0.5920, -0.2446], [1.0982, 3.2143, -2.6370], [0.7926, 3.8352, -3.2983], [0.3677, 2.6063, -2.5230], [-1.4594, 0.8927, -4.4462], [-1.0595, 0.5798, -3.6348], [-2.3992, 0.7676, -4.3145], [-4.1491, 0.1200, -4.3596], [-4.1466, -0.4111, -3.5632], [-4.9883, -0.0762, -4.7762], [2.5454, -3.8927, 1.1398], [1.3347, -3.0794, 0.7572], [1.0163, -1.9068, 1.7117], [0.9401, -2.1727, 3.1218], [-0.0331, -3.1398, 3.4359], [1.5480, -2.5522, -0.5698], [3.4784, -3.3425, 1.0178], [2.6620, -4.7383, 0.4619], [2.3945, -4.2726, 2.1503], [0.4419, -3.7022, 0.7004], [0.1618, -1.3284, 1.3603], [1.8445, -1.2084, 1.5913], [-0.1921, -3.1135, 4.5139], [0.2644, -4.1520, 3.1621], [-0.9613, -2.8826, 2.9254], [1.5775, -3.3149, -1.2312], [0.7535, -1.9948, -0.8493], [-0.5644, 3.3825, 2.7696], [0.9749, 3.0733, 2.5479], [1.8857, 3.7487, 3.5381], [1.7052, 5.1880, 3.5306], [2.4734, 5.8940, 4.5155], [1.1619, 1.6451, 2.4481], [-1.1611, 2.8431, 2.0340], [-0.8454, 4.4342, 2.7137], [-0.8539, 3.0101, 3.7522], [1.2678, 3.5705, 1.6233], [2.9278, 3.5365, 3.2991], [1.7116, 3.3365, 4.5320], [2.1977, 5.3764, 5.4343], [2.2074, 6.9504, 4.4778], [3.5582, 5.8360, 4.4269], [2.0792, 1.6197, 2.0260], [0.4902, 1.1705, 1.8618]],
- - -
# Solution
  "elements": ["B", "F", "F", "F", "F", "C", "C", "O", "H", "H", "H", "H", "H", "H", "C", "C", "O", "H", "H", "H", "H", "H", "H", "C", "C", "O", "H", "H", "H", "H", "H", "H", "O", "H", "H", "O", "H", "H", "O", "H", "H", "O", "H", "H", "C", "C", "C", "O", "C", "N", "H", "H", "H", "H", "H", "H", "H", "H", "H", "H", "H", "C", "C", "C", "O", "C", "N", "H", "H", "H", "H", "H", "H", "H", "H", "H", "H", "H"],